### Given
<<<
(1)
Molecular formula: C53H34Cl5F9LaN7PS
Method: DFT, the ωB97M-V functional and the def2-TZVPD basis

```
! RIJCOSX wB97M-V def2-TZVPD def2/J DEFGRID3
* xyz 1 1
La 1.19577 -0.37114 1.06295
C 4.69509 1.86052 -2.22171
C 3.89532 1.29555 -1.08078
N 2.97794 0.39777 -1.21697
N 2.69542 -0.08397 -2.44581
C 1.88257 -1.14806 -2.66644
N 1.65033 -1.44600 -3.95812
S 1.20574 -2.06715 -1.45607
C 4.17261 1.74978 0.28815
C 4.89300 2.91960 0.54994
C 5.21126 3.24349 1.85788
C 4.82255 2.38013 2.87111
C 4.07768 1.26065 2.52867
N 3.73516 0.95779 1.28252
H 4.93601 1.09333 -2.95746
H 5.63862 2.27021 -1.87737
H 4.14459 2.65898 -2.72128
H 3.16392 0.32707 -3.25211
H 2.15959 -1.00354 -4.70671
H 1.14938 -2.29571 -4.16374
H 5.19242 3.58316 -0.24439
H 5.77429 4.13881 2.07914
H 5.08413 2.56307 3.90061
H 3.76095 0.55761 3.28903
C 4.96440 -3.46988 1.46299
C 4.18686 -2.30971 1.55168
N 2.87000 -2.31060 1.53052
C 2.22300 -3.50159 1.44765
C 2.92622 -4.72936 1.28438
C 4.33568 -4.67577 1.29330
C 2.20899 -5.93165 1.15052
C 0.83682 -5.91390 1.17079
C 0.13820 -4.72532 1.36894
C 0.79273 -3.51165 1.55873
N 0.14882 -2.32309 1.81315
C -0.88873 -2.28442 2.69115
C -1.15913 -3.27813 3.63834
C -2.24385 -3.19967 4.50032
C -3.12434 -2.14537 4.43982
C -2.86166 -1.07707 3.56658
C -3.69830 0.05626 3.47999
C -3.31338 1.12334 2.71383
C -2.09526 1.05334 2.03041
N -1.33214 -0.02237 1.99781
C -1.70390 -1.09973 2.73263
H 6.03893 -3.39475 1.52257
H 4.66906 -1.34293 1.64085
H 4.89784 -5.58987 1.17173
H 2.74965 -6.85863 1.04511
H 0.27975 -6.83291 1.05727
H -0.94170 -4.74446 1.37854
H -0.48735 -4.12076 3.71299
H -2.39690 -3.98979 5.21925
H -3.99394 -2.10559 5.07592
H -4.63122 0.06860 4.02485
H -3.92504 2.00644 2.62095
H -1.74446 1.91206 1.47612
Cl 1.59545 -0.87807 4.37448
C 1.10397 0.76604 4.17591
C 1.13240 1.18499 2.85340
C 0.73183 2.48696 2.61829
Cl 0.81986 2.91853 0.94116
C 0.26923 3.34514 3.60393
Cl -0.34523 4.90322 3.22739
C 0.27839 2.88370 4.92456
Cl -0.26192 3.91329 6.18587
C 0.71917 1.58898 5.22636
Cl 0.76325 1.04325 6.85296
F -6.11270 5.23778 -1.68868
C -5.71622 4.66436 -0.54119
F -6.79567 4.06903 -0.01624
F -5.38401 5.65996 0.29090
C -4.58259 3.69375 -0.75044
C -4.85587 2.37481 -1.08359
C -3.82031 1.46800 -1.23334
C -2.50475 1.87785 -1.05383
C -2.23684 3.21699 -0.76854
C -3.26852 4.12467 -0.61855
P -1.03676 0.75717 -1.18774
C -0.59625 1.42320 -2.84743
C 0.59854 2.11249 -3.01907
C 0.89941 2.71369 -4.23082
C -0.00528 2.62021 -5.27904
C -1.21109 1.94774 -5.11282
C -1.50565 1.36217 -3.89889
C 0.26618 3.29563 -6.60004
F 1.58035 3.46994 -6.81793
F -0.20813 2.57802 -7.62843
F -0.30605 4.50590 -6.67189
C -1.82564 -0.84759 -1.59987
C -2.53020 -1.47478 -0.57308
C -2.99834 -2.76679 -0.71476
C -2.76006 -3.44195 -1.90368
C -2.09454 -2.81843 -2.95095
C -1.61290 -1.53434 -2.79085
C -3.20804 -4.86129 -2.12220
F -3.96222 -4.96567 -3.22877
F -3.92144 -5.35814 -1.10872
F -2.16247 -5.68906 -2.30365
H -5.87723 2.05560 -1.20925
H -4.05183 0.44334 -1.48223
H -1.21115 3.54619 -0.66437
H -3.05587 5.15819 -0.39492
H 1.28183 2.20209 -2.18615
H 1.81505 3.27386 -4.35865
H -1.91813 1.90247 -5.92603
H -2.45444 0.86581 -3.76305
H -2.72477 -0.93987 0.34216
H -3.54082 -3.24324 0.08952
H -1.95103 -3.34044 -3.88489
H -1.07992 -1.06839 -3.60307
*
```

Calculated total energy = -173998.07574 eV
Energy relative to the best compared isomer or geometry (same formula, charge and spin) = 10.7 kcal per mole

Here are the Löwdin charges for atoms 1 to 8, given in e: number 1, La, carries 1.673; number 2, C, carries 0.001; number 3, C, carries -0.248; number 4, N, carries 0.038; number 5, N, carries -0.028; number 6, C, carries -0.823; number 7, N, carries 0.126; number 8, S, carries 0.728

***

(2)
Molecular formula: C53H37ClF5GeN2PSSbSe4Ti
Method: DFT, the ωB97M-V functional and the def2-TZVPD basis

```
! RIJCOSX wB97M-V def2-TZVPD def2/J DEFGRID3
* xyz 0 2
Ti -0.16246 0.03292 -0.13330
C -1.45179 -4.11269 0.16364
C -0.66192 -2.97184 0.21986
N -1.12490 -1.74865 -0.00011
C -2.45223 -1.62934 -0.28386
>>>

### To do
Please transcribe the whole of the block further up without altering anything.

### Reply
(1)
Molecular formula: C53H34Cl5F9LaN7PS
Method: DFT, the ωB97M-V functional and the def2-TZVPD basis

```
! RIJCOSX wB97M-V def2-TZVPD def2/J DEFGRID3
* xyz 1 1
La 1.19577 -0.37114 1.06295
C 4.69509 1.86052 -2.22171
C 3.89532 1.29555 -1.08078
N 2.97794 0.39777 -1.21697
N 2.69542 -0.08397 -2.44581
C 1.88257 -1.14806 -2.66644
N 1.65033 -1.44600 -3.95812
S 1.20574 -2.06715 -1.45607
C 4.17261 1.74978 0.28815
C 4.89300 2.91960 0.54994
C 5.21126 3.24349 1.85788
C 4.82255 2.38013 2.87111
C 4.07768 1.26065 2.52867
N 3.73516 0.95779 1.28252
H 4.93601 1.09333 -2.95746
H 5.63862 2.27021 -1.87737
H 4.14459 2.65898 -2.72128
H 3.16392 0.32707 -3.25211
H 2.15959 -1.00354 -4.70671
H 1.14938 -2.29571 -4.16374
H 5.19242 3.58316 -0.24439
H 5.77429 4.13881 2.07914
H 5.08413 2.56307 3.90061
H 3.76095 0.55761 3.28903
C 4.96440 -3.46988 1.46299
C 4.18686 -2.30971 1.55168
N 2.87000 -2.31060 1.53052
C 2.22300 -3.50159 1.44765
C 2.92622 -4.72936 1.28438
C 4.33568 -4.67577 1.29330
C 2.20899 -5.93165 1.15052
C 0.83682 -5.91390 1.17079
C 0.13820 -4.72532 1.36894
C 0.79273 -3.51165 1.55873
N 0.14882 -2.32309 1.81315
C -0.88873 -2.28442 2.69115
C -1.15913 -3.27813 3.63834
C -2.24385 -3.19967 4.50032
C -3.12434 -2.14537 4.43982
C -2.86166 -1.07707 3.56658
C -3.69830 0.05626 3.47999
C -3.31338 1.12334 2.71383
C -2.09526 1.05334 2.03041
N -1.33214 -0.02237 1.99781
C -1.70390 -1.09973 2.73263
H 6.03893 -3.39475 1.52257
H 4.66906 -1.34293 1.64085
H 4.89784 -5.58987 1.17173
H 2.74965 -6.85863 1.04511
H 0.27975 -6.83291 1.05727
H -0.94170 -4.74446 1.37854
H -0.48735 -4.12076 3.71299
H -2.39690 -3.98979 5.21925
H -3.99394 -2.10559 5.07592
H -4.63122 0.06860 4.02485
H -3.92504 2.00644 2.62095
H -1.74446 1.91206 1.47612
Cl 1.59545 -0.87807 4.37448
C 1.10397 0.76604 4.17591
C 1.13240 1.18499 2.85340
C 0.73183 2.48696 2.61829
Cl 0.81986 2.91853 0.94116
C 0.26923 3.34514 3.60393
Cl -0.34523 4.90322 3.22739
C 0.27839 2.88370 4.92456
Cl -0.26192 3.91329 6.18587
C 0.71917 1.58898 5.22636
Cl 0.76325 1.04325 6.85296
F -6.11270 5.23778 -1.68868
C -5.71622 4.66436 -0.54119
F -6.79567 4.06903 -0.01624
F -5.38401 5.65996 0.29090
C -4.58259 3.69375 -0.75044
C -4.85587 2.37481 -1.08359
C -3.82031 1.46800 -1.23334
C -2.50475 1.87785 -1.05383
C -2.23684 3.21699 -0.76854
C -3.26852 4.12467 -0.61855
P -1.03676 0.75717 -1.18774
C -0.59625 1.42320 -2.84743
C 0.59854 2.11249 -3.01907
C 0.89941 2.71369 -4.23082
C -0.00528 2.62021 -5.27904
C -1.21109 1.94774 -5.11282
C -1.50565 1.36217 -3.89889
C 0.26618 3.29563 -6.60004
F 1.58035 3.46994 -6.81793
F -0.20813 2.57802 -7.62843
F -0.30605 4.50590 -6.67189
C -1.82564 -0.84759 -1.59987
C -2.53020 -1.47478 -0.57308
C -2.99834 -2.76679 -0.71476
C -2.76006 -3.44195 -1.90368
C -2.09454 -2.81843 -2.95095
C -1.61290 -1.53434 -2.79085
C -3.20804 -4.86129 -2.12220
F -3.96222 -4.96567 -3.22877
F -3.92144 -5.35814 -1.10872
F -2.16247 -5.68906 -2.30365
H -5.87723 2.05560 -1.20925
H -4.05183 0.44334 -1.48223
H -1.21115 3.54619 -0.66437
H -3.05587 5.15819 -0.39492
H 1.28183 2.20209 -2.18615
H 1.81505 3.27386 -4.35865
H -1.91813 1.90247 -5.92603
H -2.45444 0.86581 -3.76305
H -2.72477 -0.93987 0.34216
H -3.54082 -3.24324 0.08952
H -1.95103 -3.34044 -3.88489
H -1.07992 -1.06839 -3.60307
*
```

Calculated total energy = -173998.07574 eV
Energy relative to the best compared isomer or geometry (same formula, charge and spin) = 10.7 kcal per mole

Here are the Löwdin charges for atoms 1 to 8, given in e: number 1, La, carries 1.673; number 2, C, carries 0.001; number 3, C, carries -0.248; number 4, N, carries 0.038; number 5, N, carries -0.028; number 6, C, carries -0.823; number 7, N, carries 0.126; number 8, S, carries 0.728

***

(2)
Molecular formula: C53H37ClF5GeN2PSSbSe4Ti
Method: DFT, the ωB97M-V functional and the def2-TZVPD basis

```
! RIJCOSX wB97M-V def2-TZVPD def2/J DEFGRID3
* xyz 0 2
Ti -0.16246 0.03292 -0.13330
C -1.45179 -4.11269 0.16364
C -0.66192 -2.97184 0.21986
N -1.12490 -1.74865 -0.00011
C -2.45223 -1.62934 -0.28386